Пример #1
def main(args):

    # Parse arguments for PWM filename
    if len(args) != 2:
        print "Usage: ./cm_scan.py PWM_FILE"
    pwm_file = args[1]

    # Hard-coded values
    p = -12.0
    fasta = "../doc/fasta/human1ku-corrected.fasta"
    a_file = open("../doc/pickle/alignment.pickle", "r")

Unrelated to this piece: data records:
- - -
Record 1
# Ac2Pm3Sm7

An optimized crystal structure of Ac2Pm3Sm7 (PBE, Alexandria).

Summary:
D(E_F) (states/eV per cell): 18.74
Final energy (eV per formula unit): -54.39
Mass density (g/cm³): 7.485
E_form (kJ/mol of formula units): 107.1

abc: 3.6575 6.5181 18.6101
angles: 76.14 90.00 90.00
Closest atoms and distances in Å follow each position.
Atoms (fractional coordinates):
Ac (0.5000, 0.6161, 0.3267)  5 Sm 3.56-3.69, 2 Ac 3.66, 4 Pm 3.71-3.77
Ac (0.5000, 0.3839, 0.6733)  5 Sm 3.56-3.69, 2 Ac 3.66, 4 Pm 3.71-3.77
Pm (0.5000, 0.5000, 0.0000)  10 Sm 3.60-3.74, 2 Pm 3.66
Pm (0.0000, 0.1128, 0.3393)  2 Pm 3.66, 4 Ac 3.71-3.77, 7 Sm 3.77-3.88
Pm (0.0000, 0.8872, 0.6607)  2 Pm 3.66, 4 Ac 3.71-3.77, 7 Sm 3.77-3.88
Sm (0.5000, 0.2398, 0.5004)  2 Sm 3.13-3.39
Sm (0.5000, 0.7602, 0.4996)  2 Sm 3.13-3.39
Sm (0.0000, 0.5629, 0.1602)  7 Sm 3.60-3.77, 3 Pm 3.60-3.88, 2 Ac 3.69
Sm (0.0000, 0.0000, 0.0000)  8 Sm 3.60-3.66, 4 Pm 3.74
Sm (0.0000, 0.4371, 0.8398)  7 Sm 3.60-3.77, 3 Pm 3.60-3.88, 2 Ac 3.69
Sm (0.5000, 0.9338, 0.8367)  3 Pm 3.62-3.83, 8 Sm 3.66-3.77, 1 Ac 3.69
Sm (0.5000, 0.0662, 0.1633)  3 Pm 3.62-3.83, 8 Sm 3.66-3.77, 1 Ac 3.69

Record 2
# Ac2PmSm

An optimized crystal structure of Ac2PmSm (PBE, Alexandria).

Summary:
Energy above the lowest structure with this stoichiometry (eV/f.u.): 0.31
D(E_F) (states/eV per cell): 7.94
Final energy (eV per formula unit): -17.25
Mass density (g/cm³): 7.912
E_form (kJ/mol of formula units): 42.0

abc: 6.0589 6.0589 6.0589
angles: 60.00 60.00 60.00
Closest atoms and distances in Å follow each position.
Atoms (fractional coordinates):
Ac (0.2500, 0.2500, 0.2500)  4 Sm 3.71, 4 Pm 3.71
Ac (0.7500, 0.7500, 0.7500)  4 Pm 3.71, 4 Sm 3.71
Sm (0.5000, 0.5000, 0.5000)  8 Ac 3.71
Pm (0.0000, 0.0000, 0.0000)  8 Ac 3.71

Record 3
# AcPmSm3

An optimized crystal structure of AcPmSm3 (PBE, Alexandria).

Summary:
Energy above the lowest structure with this stoichiometry (eV/f.u.): 0.00
D(E_F) (states/eV per cell): 27.90
Final energy (eV per formula unit): -22.87
Mass density (g/cm³): 7.616
E_form (kJ/mol of formula units): 14.1

abc: 3.7233 10.4229 18.4970
angles: 90.00 90.00 90.00
Closest atoms and distances in Å follow each position.
Atoms (fractional coordinates):
Ac (0.7500, 0.6240, 0.6502)  8 Sm 3.69-3.73, 2 Ac 3.72, 2 Pm 3.75
Ac (0.2500, 0.8760, 0.1502)  8 Sm 3.69-3.73, 2 Ac 3.72, 2 Pm 3.75
Ac (0.2500, 0.3760, 0.3498)  8 Sm 3.69-3.73, 2 Ac 3.72, 2 Pm 3.75
Ac (0.7500, 0.1240, 0.8498)  8 Sm 3.69-3.73, 2 Ac 3.72, 2 Pm 3.75
Pm (0.2500, 0.8791, 0.5482)  4 Pm 3.60-3.72, 6 Sm 3.65-3.74, 2 Ac 3.75
Pm (0.7500, 0.6209, 0.0482)  4 Pm 3.60-3.72, 6 Sm 3.65-3.74, 2 Ac 3.75
Pm (0.7500, 0.1209, 0.4518)  4 Pm 3.60-3.72, 6 Sm 3.65-3.74, 2 Ac 3.75
Pm (0.2500, 0.3791, 0.9518)  4 Pm 3.60-3.72, 6 Sm 3.65-3.74, 2 Ac 3.75
Sm (0.2500, 0.8737, 0.7505)  4 Ac 3.69-3.70, 7 Sm 3.70-3.72, 1 Pm 3.74
Sm (0.7500, 0.6263, 0.2505)  4 Ac 3.69-3.70, 7 Sm 3.70-3.72, 1 Pm 3.74
Sm (0.7500, 0.1263, 0.2495)  4 Ac 3.69-3.70, 7 Sm 3.70-3.72, 1 Pm 3.74
- - -
So much for the data records:

    # Load the 5-way alignment
    alignment = pickle.load(a_file)

    # Close relevant files

    # Run PWM_SCAN on the human FASTA, generate a GFF file
    pwm = pwm_file.replace(".pwm","")
    #os.popen("pwm_scan -f "+fasta+" -M "+pwm+" -p "+str(p)+" -s 1")
    #os.popen("pwm_scan -f "+fasta+" -M "+pwm+" -p "+str(p)+" -s 2")
    gff = open(fasta+"."+pwm.replace("../doc/pwm/","")+".gff", "r")

    # For each hit in the GFF, throw out hits that span gaps, build motifs
    motifs = buildMotifs(gff, alignment)
    if len(motifs) == 0:
        print "NO HITS"
    #print motifs
    #pickle.dump(hits, open("hits.tmp", "w"))
    #motifs = pickle.load(open("hits.tmp", "r"))

    # Create the CM mega-dictionary
    mega = []
    for i in range(len(motifs[0][0])-1):
        cmuts = dict()
        alphabet = [ "A->A", "A->C", "A->G", "A->T",
                     "C->A", "C->C", "C->G", "C->T",
                     "G->A", "G->C", "G->G", "G->T",
                     "T->A", "T->C", "T->G", "T->T" ]
        for i in alphabet:
            for j in alphabet:
                cmuts[i+"/"+j] = 0

    # Create the tree structure
    supertree = Tree([])
    root = TreeNode("r")
    rodent = TreeNode("")
    primate = TreeNode("")
    highermammal = TreeNode("")
    mouse = TreeNode("3")
    rat = TreeNode("4")
    human = TreeNode("1")
    chimp = TreeNode("2")
    dog = TreeNode("5")
    root.children = [ rodent, highermammal ]
    rodent.children = [ mouse, rat ]
    highermammal.children = [ dog, primate ]
    primate.children = [ human, chimp ]
    supertree.r = root
    supertree.node = [ root, highermammal, rodent, mouse,
                       rat, primate, human, chimp ]

    # For each motif:
    for m in motifs:

        # Check the motif: is it any good?
        flag = True
        for subm in m:
            if len(subm) != len(m[0]): flag = False
            if "N" in subm: flag = False
        if not flag: continue
        # Find the aligned sequence from other species, write motif to file
        f = open("cm_scan.tmp", "w")
        writeMotif(m, f)
        # Run the Ptree estimator to get a tree structure

        # Load the tree structure from the Estimator output
        #supertree = loadTree("cm_scan.tree")

        # For each position in the hit, color a new tree
        trees = []
        for position in range(len(m[0])):
            submotif = []
            for i in range(len(m)): submotif.append(m[i][position])
            trees.append(color(supertree, submotif))
        # For every pair of adjacent trees, count CMs
        for i in range(len(m[0])-1):
            t1 = trees[i]
            t2 = trees[i+1]
            countCMs(t1.r, t2.r, mega[i])

    # Do a chi-squared analysis on each position matrix
    print "DEGREES OF FREEDOM:", 15*15
    alphabet = [ "A->A", "A->C", "A->G", "A->T",
                 "C->A", "C->C", "C->G", "C->T",
                 "G->A", "G->C", "G->G", "G->T",
                 "T->A", "T->C", "T->G", "T->T" ]
    #print mega[0]["A->A/G->G"]
    for i in range(len(motifs[0][0])-1):
        m = zeros((len(alphabet), len(alphabet)))
        for j in range(len(alphabet)):
            for k in range(len(alphabet)):
                #print i, j, k
                #print "\t", alphabet[j], alphabet[k]
                m[j,k] = mega[i][alphabet[j]+"/"+alphabet[k]]
        print "PVALUE at pos (", i, ", ", i+1, ")", chisquarematrix.chisquare(m)
Пример #2
def main(args):

    # Parse arguments for PWM filename
    if len(args) != 2:
        print "Usage: ./cm_scan.py PWM_FILE"
    pwm_file = args[1]

    # Hard-coded values
    p = -12.0
    fasta = "../doc/fasta/human1ku-corrected.fasta"
    a_file = open("../doc/pickle/alignment.pickle", "r")

    # Load the 5-way alignment
    alignment = pickle.load(a_file)

    # Close relevant files

    # Run PWM_SCAN on the human FASTA, generate a GFF file
    pwm = pwm_file.replace(".pwm","")
    #os.popen("pwm_scan -f "+fasta+" -M "+pwm+" -p "+str(p)+" -s 1")
    #os.popen("pwm_scan -f "+fasta+" -M "+pwm+" -p "+str(p)+" -s 2")
    gff = open(fasta+"."+pwm.replace("../doc/pwm/","")+".gff", "r")

    # For each hit in the GFF, throw out hits that span gaps, build motifs
    motifs = buildMotifs(gff, alignment)
    if len(motifs) == 0:
        print "NO HITS"
    #print motifs
    #pickle.dump(hits, open("hits.tmp", "w"))
    #motifs = pickle.load(open("hits.tmp", "r"))

    # Create the CM mega-dictionary
    mega = []
    for i in range(len(motifs[0][0])-1):
        cmuts = dict()
        alphabet = [ "A->A", "A->C", "A->G", "A->T",
                     "C->A", "C->C", "C->G", "C->T",
                     "G->A", "G->C", "G->G", "G->T",
                     "T->A", "T->C", "T->G", "T->T" ]
        for i in alphabet:
            for j in alphabet:
                cmuts[i+"/"+j] = 0

    # Create the tree structure
    supertree = Tree([])
    root = TreeNode("r")
    rodent = TreeNode("")
    primate = TreeNode("")
    highermammal = TreeNode("")
    mouse = TreeNode("3")
    rat = TreeNode("4")
    human = TreeNode("1")
    chimp = TreeNode("2")
    dog = TreeNode("5")
    root.children = [ rodent, highermammal ]
    rodent.children = [ mouse, rat ]
    highermammal.children = [ dog, primate ]
    primate.children = [ human, chimp ]
    supertree.r = root
    supertree.node = [ root, highermammal, rodent, mouse,
                       rat, primate, human, chimp ]
    # Create the positional uberdictionaries and interdirectories
    uberlist = []
    for i in range(len(motifs[0][0])):
        cdict = dict()
        alphabet = [ "A->A", "A->C", "A->G", "A->T",
                     "C->A", "C->C", "C->G", "C->T",
                     "G->A", "G->C", "G->G", "G->T",
                     "T->A", "T->C", "T->G", "T->T" ]
        for edge in alphabet: cdict[edge] = 0
        d = dict()
        d["root->rodent"] = copy.copy(cdict)
        d["root->highermammal"] = copy.copy(cdict)
        d["rodent->rat"] = copy.copy(cdict)
        d["rodent->mouse"] = copy.copy(cdict)
        d["highermammal->dog"] = copy.copy(cdict)
        d["highermammal->primate"] = copy.copy(cdict)
        d["primate->human"] = copy.copy(cdict)
        d["primate->chimp"] = copy.copy(cdict)
    interlist = []
    for i in range(len(motifs[0][0])-1):
        cdict = dict()
        alphabet = [ "A->A", "A->C", "A->G", "A->T",
                     "C->A", "C->C", "C->G", "C->T",
                     "G->A", "G->C", "G->G", "G->T",
                     "T->A", "T->C", "T->G", "T->T" ]
        for i in range(len(alphabet)):
            for j in range(len(alphabet)):
                cdict[alphabet[i]+"/"+alphabet[j]] = 0
        d = dict()
        d["root->rodent"] = copy.copy(cdict)
        d["root->highermammal"] = copy.copy(cdict)
        d["rodent->rat"] = copy.copy(cdict)
        d["rodent->mouse"] = copy.copy(cdict)
        d["highermammal->dog"] = copy.copy(cdict)
        d["highermammal->primate"] = copy.copy(cdict)
        d["primate->human"] = copy.copy(cdict)
        d["primate->chimp"] = copy.copy(cdict)
    # Keeps track of conditional root probabilities
    rlist = []
    for i in range(len(motifs[0][0])-1):
        alphabet = [ "A|A", "A|C", "A|G", "A|T",
                     "C|A", "C|C", "C|G", "C|T",
                     "G|A", "G|C", "G|G", "G|T",
                     "T|A", "T|C", "T|G", "T|T" ]
        d = dict()
        for i in alphabet: d[i] = 0
    # Keeps track of background probabilities
    blist = dict()
    alphabet = [ "A", "T", "C", "G" ]
    for i in alphabet: blist[i] = 0

    # We want to randomly split the instances into training and test sets
    # And we want to repeat this for random splits until we get it right
    incrementor = 0
    logs = range(len(motifs[0][0])-1)
    while True:
        # Split the instance set randomly
        training = motifs[:int(random.uniform(0, 1)*len(motifs))]
        test = motifs[int(random.uniform(0, 1)*len(motifs)):]

        if len(training) == 0 or len(test) == 0: continue

        # For each instance:
        for m in training:
            # Check the motif: is it any good?
            flag = True
            for subm in m:
                if len(subm) != len(m[0]): flag = False
                if "N" in subm: flag = False
            if not flag: continue
            # Find the aligned sequence from other species, write motif to file
            f = open("cm_scan.tmp", "w")
            writeMotif(m, f)

            # Run the Ptree estimator to get a tree structure
            # Load the tree structure from the Estimator output
            #supertree = loadTree("cm_scan.tree")

            # For each position in the hit, color a new tree
            trees = []
            for position in range(len(m[0])):
                submotif = []
                for i in range(len(m)): submotif.append(m[i][position])
                trees.append(color(supertree, submotif))
            # For every pair of adjacent trees, update the ubers/inters
            for i in range(len(m[0])-1):
                t1 = trees[i]
                t2 = trees[i+1]
                # Update the ubers
                roo = t1.r
                rod = roo.children[0]
                hig = roo.children[1]
                mou = rod.children[0]
                rat = rod.children[1]
                dog = hig.children[0]
                pri = hig.children[1]
                hum = pri.children[0]
                chi = pri.children[1]
                #edge counts for a position in the alignment
                #so this data involves one position
                uberlist[i]["root->rodent"][roo.color+"->"+rod.color] += 1
                uberlist[i]["root->highermammal"][roo.color+"->"+hig.color] += 1
                uberlist[i]["rodent->mouse"][rod.color+"->"+mou.color] += 1
                uberlist[i]["rodent->rat"][rod.color+"->"+rat.color] += 1
                uberlist[i]["highermammal->dog"][hig.color+"->"+dog.color] += 1
                uberlist[i]["highermammal->primate"][hig.color+"->"+pri.color] += 1
                uberlist[i]["primate->human"][pri.color+"->"+hum.color] += 1
                uberlist[i]["primate->chimp"][pri.color+"->"+chi.color] += 1                
                # Update the inters
                roo2 = t2.r
                rod2 = roo2.children[0]
                hig2 = roo2.children[1]
                mou2 = rod2.children[0]
                rat2 = rod2.children[1]
                dog2 = hig2.children[0]
                pri2 = hig2.children[1]
                hum2 = pri2.children[0]
                chi2 = pri2.children[1]
                #edge counts for adjacent positions in the alignment
                #this data involves two positions
                interlist[i]["root->rodent"][roo.color+"->"+rod.color+"/"+roo2.color+"->"+rod2.color] += 1
                interlist[i]["root->highermammal"][roo.color+"->"+hig.color+"/"+roo2.color+"->"+hig2.color] += 1
                interlist[i]["rodent->mouse"][rod.color+"->"+mou.color+"/"+rod2.color+"->"+mou2.color] += 1
                interlist[i]["rodent->rat"][rod.color+"->"+rat.color+"/"+rod2.color+"->"+rat2.color] += 1
                interlist[i]["highermammal->dog"][hig.color+"->"+dog.color+"/"+hig2.color+"->"+dog2.color] += 1
                interlist[i]["highermammal->primate"][hig.color+"->"+pri.color+"/"+hig2.color+"->"+pri2.color] += 1
                interlist[i]["primate->human"][pri.color+"->"+hum.color+"/"+pri2.color+"->"+hum2.color] += 1
                interlist[i]["primate->chimp"][pri.color+"->"+chi.color+"/"+pri2.color+"->"+chi2.color] += 1
                # Update the rlist
                rlist[i][roo.color+"|"+roo2.color] += 1
                # Update the blist
                blist[roo.color] += 1

        # Now turn those counts into ratios
        for i in range(len(training[0][0])-1):
            #find the prob of seeing an edge at a certain position
            #does not calculate seeing a node given another node in the same edge
            for j in uberlist[i].keys():
                ubersum = 0
                for k in uberlist[i][j].keys(): ubersum += uberlist[i][j][k]
                for k in uberlist[i][j].keys():
                    uberlist[i][j][k] = float(uberlist[i][j][k])/ubersum
            #also finds the probabilities of seeing say, ACTG, for the two positions
            #does not find conditional probs
            #wait, make sure it doesn't do cond probs
            #Greg is counting the probs of seeing AC and TG
            #he could use this later for the conditionals, i guess
            for j in interlist[i].keys():
                intersum = 0
                for k in interlist[i][j].keys(): intersum += interlist[i][j][k]
                for k in interlist[i][j].keys():
                    interlist[i][j][k] = float(interlist[i][j][k])/intersum
                rsum = 0
            for j in rlist[i].keys(): rsum += rlist[i][j]
            for j in rlist[i].keys(): rlist[i][j] = float(rlist[i][j])/rsum
        bsum = 0
        for i in blist.keys(): bsum += blist[i]
        for i in blist.keys(): blist[i] = float(blist[i])/bsum

        # Now that we have estimated parameters, calculate the log-likelihood
        # ratio of each tree pair in each instance and average
        ratios = []
        for i in range(len(training[0][0])-1): ratios.append(0)
        # For each motif:
        for m in test:

            # Check the motif: is it any good?
            flag = True
            for subm in m:
                if len(subm) != len(m[0]): flag = False
                if "N" in subm: flag = False
            if not flag: continue

            # For each position in the hit, color a new tree
            trees = []
            for position in range(len(m[0])):
                submotif = []
                for i in range(len(m)): submotif.append(m[i][position])
                trees.append(color(supertree, submotif))
            # For every pair of adjacent trees, update the ubers/inters
            for i in range(len(m[0])-1):
                t1 = trees[i]
                t2 = trees[i+1]
                roo = t1.r
                rod = roo.children[0]
                hig = roo.children[1]
                mou = rod.children[0]
                rat = rod.children[1]
                dog = hig.children[0]
                pri = hig.children[1]
                hum = pri.children[0]
                chi = pri.children[1]
                roo2 = t2.r
                rod2 = roo2.children[0]
                hig2 = roo2.children[1]
                mou2 = rod2.children[0]
                rat2 = rod2.children[1]
                dog2 = hig2.children[0]
                pri2 = hig2.children[1]
                hum2 = pri2.children[0]
                chi2 = pri2.children[1]
                # Compute the probability of seeing t1
                #why do it this way?
                #this does not take dependencies between nodes in an edge into account
                #maybe this is the way it should be done?
                #yeah, this does does not look at the node before it
                #the nodes are assumed to be independent for some reason,
                #yet the prob of seeing a node considers the node before it
                roorod = uberlist[i]["root->rodent"]["A->"+rod.color]+\
                roohig = uberlist[i]["root->highermammal"]["A->"+hig.color]+\
                rodmou = uberlist[i]["rodent->mouse"]["A->"+mou.color]+\
                rodrat = uberlist[i]["rodent->rat"]["A->"+rat.color]+\
                higdog = uberlist[i]["highermammal->dog"]["A->"+dog.color]+\
                higpri = uberlist[i]["highermammal->primate"]["A->"+pri.color]+\
                prichi = uberlist[i]["primate->chimp"]["A->"+chi.color]+\
                prihum = uberlist[i]["primate->human"]["A->"+hum.color]+\
                p_t1 = blist[roo.color]*roorod*roohig*rodmou*rodrat*higdog*higpri*prichi*prihum
                #p_t1 = blist[roo.color]* \
                #       uberlist[i]["root->rodent"][roo.color+"->"+rod.color]*uberlist[i]["root->highermammal"][roo.color+"->"+hig.color]*uberlist[i]["rodent->mouse"][rod.color+"->"+mou.color]*uberlist[i]["rodent->rat"][rod.color+"->"+rat.color]*uberlist[i]["highermammal->dog"][hig.color+"->"+dog.color]*uberlist[i]["highermammal->primate"][hig.color+"->"+pri.color]*uberlist[i]["primate->chimp"][pri.color+"->"+chi.color]*uberlist[i]["primate->human"][pri.color+"->"+hum.color]
                # Compute the probability of seeing t2 | t1
                #this also assumes the independence of nodes
                #the two positions don't involve conditionals, it is
                #doing the prob of the intersection
                roorod = getprobs(interlist[i]["root->rodent"], rod.color, rod2.color)
                roohig = getprobs(interlist[i]["root->highermammal"], hig.color, hig2.color)
                rodmou = getprobs(interlist[i]["rodent->mouse"], mou.color, mou2.color)
                rodrat = getprobs(interlist[i]["rodent->rat"], rat.color, rat2.color)
                higdog = getprobs(interlist[i]["highermammal->dog"], dog.color, dog2.color)
                higpri = getprobs(interlist[i]["highermammal->primate"], pri.color, pri2.color)
                prichi = getprobs(interlist[i]["primate->chimp"], chi.color, chi2.color)
                prihum = getprobs(interlist[i]["primate->human"], hum.color, hum2.color)
                p_t2 = rlist[i][roo.color+"|"+roo2.color]*roorod*roohig*rodmou*rodrat*higdog*higpri*prichi*prihum
                #p_t2 = rlist[i][roo.color+"|"+roo2.color]* \
                #       interlist[i]["root->rodent"][roo.color+"->"+rod.color+"/"+roo2.color+"->"+rod2.color]*interlist[i]["root->highermammal"][roo.color+"->"+hig.color+"/"+roo2.color+"->"+hig2.color]*interlist[i]["rodent->mouse"][rod.color+"->"+mou.color+"/"+rod2.color+"->"+mou2.color]*interlist[i]["rodent->rat"][rod.color+"->"+rat.color+"/"+rod2.color+"->"+rat2.color]*interlist[i]["highermammal->dog"][hig.color+"->"+dog.color+"/"+hig2.color+"->"+dog2.color]*interlist[i]["highermammal->primate"][hig.color+"->"+pri.color+"/"+hig2.color+"->"+pri2.color]*interlist[i]["primate->chimp"][pri.color+"->"+chi.color+"/"+pri2.color+"->"+chi2.color]*interlist[i]["primate->human"][pri.color+"->"+hum.color+"/"+pri2.color+"->"+hum2.color]
                # Compute the log-likelihood ratio
                if p_t2 == 0 or p_t1 == 0: ratios[i] += 0
                else: ratios[i] += -1*math.log(p_t2/p_t1)

        #for i in range(len(ratios)): print i, i+1, ratios[i]
        for i in range(len(ratios)): logs[i] += ratios[i]

        incrementor += 1
        if incrementor >= 200: break

    # Print the log-sums
    for i in range(len(logs)): print i+1, i+2, logs[i]

    # Prematurely terminate - let's not worry about X^2 analysis right now
    # Do a chi-squared analysis on each position matrix
    print "DEGREES OF FREEDOM:", 15*15
    alphabet = [ "A->A", "A->C", "A->G", "A->T",
                 "C->A", "C->C", "C->G", "C->T",
                 "G->A", "G->C", "G->G", "G->T",
                 "T->A", "T->C", "T->G", "T->T" ]
    #print mega[0]["A->A/G->G"]
    for i in range(len(motifs[0][0])-1):
        m = zeros((len(alphabet), len(alphabet)))
        for j in range(len(alphabet)):
            for k in range(len(alphabet)):
                #print i, j, k
                #print "\t", alphabet[j], alphabet[k]
                m[j,k] = mega[i][alphabet[j]+"/"+alphabet[k]]
        print "PVALUE at pos (", i, ", ", i+1, ")", chisquarematrix.chisquare(m)